Applying Machine Learning in your Company: 10 criteria for the best AI solutions
By reading this third part of the blog series, you will get an understanding of what Machine Learning models are.
Reading this article will enable you to communicate with your data scientist at eye level competently.
Here is what you will learn:
· What kind of prediction methods do exist and what benefit do they have.
· Understanding the criteria to select the right method.
· Understanding common terms in the context of machine learning.
This is part 3 of 5. The full article is split into the following blog post is split into two parts: Part 3-A and Part 3-B.
- Part 1: Machine Learning Projects: 5 Steps to Success!
- Part 2: Data are the new oil: 10 essential Machine Learning tricks to maximize exploitation
- Part 3 - First Part: 10 criteria for the best Machine Learning models
- Part 3 - Second Part: 10 criteria for the best Machine Learning models (this part)
- Part 4 & 5: Coming soon! Follow me on LinkedIn so you won’t miss it.
Read to the end of both articles to fully understand all aspects. The whole article is split into two parts A & B.
PART 3B: Applying Machine Learning in your Company: Ten criteria for the best solutions
Please note: This is part B of the full article. I recommend you first read part A, click here, then continue reading this article.
Another type of prediction problem is called regression.
Regression is the same as classification. However, the target variable (the quantity to be predicted) is continuous, that is the target variable can have infinitely many values.
Typical examples of such a variable are consumptions, timespans, or other measurements
Regression algorithms are often used to make quantitative predictions while classification is used to make decisions.
Loosely speaking, regression can be considered as a continuous classification that is infinite many classes.
Clustering – The invisible risk
If you have a situation where the sample data does not contain any realizations of the target variable (un-supervised problem) you can apply so-called clustering methods to analyze your data.
Since the target variable or the outcome has not been observed and, therefore, is not available it is impossible to measure the quality of the prediction.
In particular, this means that no examples of data and outcome (target variable) are available, so it will not be possible to compare any algorithmic predictions with historical seen (and proven) outcomes (target variable).
As a consequence, you will not be able to measure the quality of your results.
Instead, you blindly rely on the result of your clustering algorithm.
Unfortunately, the algorithms are mathematically constructed in a way such that they always converge, i.e., they will always find a “solution.”
However, beware! The result you’ll obtain is disconnected from your target variable because no target variables available means your algorithm won’t be able to take these into account when learning the data.
Your business goal is usually directly or indirectly associated with the target variable.
So by not having any values for your target variable and thus no representation of your business goal implies that the result of your algorithm is disconnected to your business goal itself.
Your result only depends on the mathematical “architecture” of the algorithm and can, therefore, be arbitrary concerning what you actually what – in particular arbitrary bad.
Moreover, since there are usually much more possibilities to do something wrong instead of right, the possibility of getting the correct result is minimal.
However, it gets even worse: You lack examples of the target variable to assess the quality of your prediction.
Not only you won’t know what you get, but you even won’t be able to detect how bad you are.
Clustering means that you rely on a mathematical crystal ball and the results of that thing should be treated with the highest caution.
Clustering: Test yourself!
Are you able to detect any clusters of associated data points? No. A machine learning algorithm also will not.
Only labeled data will allow you to detect the correct structure within the given data. For an algorithm, this is no different as for any human.
Applying labeled data shows you regions where by tendency either green or blue data points dominate. This is something a machine learning model can learn.
Zero error is bad – Small errors are great
Besides the target variable, there are further essential criteria which will determine which model you should apply.
........
(1)
! NbPPdO2 PBE relaxed; values from VASP
! DOS(E_F) in states/eV/cell: 4.247
! Spin magnetization in μB per cell: 0.0
! Crystal system: tetragonal
! Energy relative to the lowest polymorph listed for this composition in meV/atom: 0
! Raw formation energy in kcal/mol of atoms: -23.851
! Theoretical density in g/cm3: 5.37
&SYSTEM
  ibrav = 0, nat = 5, ntyp = 4
/
ATOMIC_SPECIES
O 16.00 O.upf
P 30.97 P.upf
Nb 92.91 Nb.upf
Pd 106.42 Pd.upf
ATOMIC_POSITIONS crystal
O 0.000 0.500 0.000
O 0.500 0.000 0.000
P 0.000 0.000 0.500
Nb 0.000 0.000 0.000
Pd 0.500 0.500 0.500
CELL_PARAMETERS angstrom
-3.014 2.192 0.916
-0.818 -2.347 2.924
3.197 3.012 3.313

---

(2)
! Hf2Pb2N PBE relaxed; values from VASP
! DOS(E_F) in states/eV/cell: 3.404
! Spin magnetization in μB per cell: 0.5
! Crystal system: tetragonal
! Energy relative to the lowest polymorph listed for this composition in meV/atom: 1566
! Raw formation energy in kcal/mol of atoms: 28.674
! Theoretical density in g/cm3: 11.00
&SYSTEM
  ibrav = 0, nat = 5, ntyp = 3
/
ATOMIC_SPECIES
Pb 207.20 Pb.upf
Hf 178.49 Hf.upf
N 14.01 N.upf
ATOMIC_POSITIONS crystal
Pb 0.250 0.750 0.500
Hf 0.408 0.408 0.184
Pb 0.750 0.250 0.500
Hf 0.592 0.592 0.816
N 0.000 0.000 0.000
CELL_PARAMETERS angstrom
-1.114 3.188 2.101
-3.476 -1.752 0.814
0.679 -2.314 7.634
........
_The materials data stop here_
The most important one will probably be the quality of your model prediction.
That means: how good or how “right” are the predictions for unseen and new data?
In the supervised problem, you can simulate this by splitting the example data into two batches.
The first one will be called training dataset while the second one will be called test or evaluation dataset.
As the name suggests, the machine learning algorithm will be learned or inferred on the training dataset.
Subsequently, the so obtained model will be applied for the prediction of the evaluation data.
To ensure, the algorithm gets an evaluation data point and makes a prediction. The prediction result is then compared with the real observed result.
Summing up all prediction errors will give you information about the average prediction error.
Intuitively, you probably think a prediction error of zero is the best. Moreover, you are right.
However, in reality, you will never encounter a situation where all predictions can be correctly made.
Because all data is to some degree a little messy, you will always have to accept a certain error rate.
While an as small as possible error rate is desirable an error of zero tells you that something is wrong – because of messy data. Thus, an error of zero is usually a bad sign, and you should revise your implementation.
Generally, it can be said that good algorithms achieve small errors while bad ones make bigger prediction errors.
Please note: For the algorithm, the evaluation data is new unseen data since it did not see the evaluation data during the learning phase. Thus, the model does not “know” this evaluation data.
This makes this evaluation method objective and comparable.
Since your model will (in the future) make predictions for truly unseen data, you should use the model with the lowest prediction error on the evaluation data.
The split ratio of train and evaluation data is in principle arbitrary. However, as a rule of thumb, you can consider 80% training data and 20% evaluation data.
Black Box Algorithms
Sometimes the best performing model is not necessarily the best candidate.
Frequently you would like to understand what is going on within your model.
Why does an algorithm make this or that decision?
To put it differently: Do you understand your chosen Machine Learning Model?
A deeper understanding of the decision processes makes your model understandable for humans.
Typical examples of non-transparent models are neural networks, here in particular deep learning models or Hidden Markov models (a model that assumes non-observable states and causes).
The benefit of a deeper model understanding are potentially new insights within your existing business processes that have been prior unknown.
By applying this reversed method, your employees might discover new decision criteria. You could say the knowledge is being returned from the apprentice back to it’s master.
Therefore, comprehensibility will give you an additional value that goes beyond the automation of a process.
Fast models – Fast decisions
Sometimes your setting requires quick decisions.
Classic examples are real-time applications, i.e., results have to be calculated within, e.g., 30 seconds or even within milliseconds (depending what kind of latency you call real-time).
For instance, programmatic advertising (real-time bidding) requires decisions within about 100 milliseconds.
Therefore, in real-time bidding, the application of less complex and therefore fast models is preferred.
On the other hand, other settings do not require those kinds of short latencies, for instance, processes that can calculate results overnight.
In such a case more complex and computationally more intense algorithms can be used that will deliver better prediction results.
Generally, the duration of your process also depends on the amount of data available.
Small data sets can be applied to complex models since the amount of data also limits the runtime required.
Therefore, when choosing a model to keep the model latency in mind.
Your model doesn’t understand your data?
Your model selection process will also depend on the given data.
Some Machine Learning models only accept certain types of data, like discrete, continuous, binary, or categorical data.
Simply put, continuous data are decimal numbers like 1.43, 20.58, etc
Discrete numbers are integer numbers like 1, 2, 3, 4, 5, while binary data is a special kind since only two values might be taken, for instance, 0 or 1.
Categorical data are non-numeric values, for instance green, large, or liquid.
Categorical data usually does not have any order like for instance “green is better than liquid.”
Many models require numbers as input. However, a nice little tick turns categorical data into processible values.
For instance, the canonical Support Vector Machine only accepts continuous data while a decision tree can process out-of-the-box (non-transformed) categorical data.
Another kind of data is time dependent. There exists a variety of algorithms that are specially designed for this kind of time series data.
Always choose the Machine Learning algorithm that is best suited for the given data.
Missing Data
One of the more significant difficulties when inferring an AI model is missing or incomplete data.
The main problem is that one cannot generate any knowledge from non-existent data.
No conclusions or decisions can be drawn.
However, many Machine Learning models require complete and gapless data.
In some cases, this problem can be solved by filling up those gaps with artificial data.
For instance, if in a series of prices one price is missing you might use the average of all other prices and assign this value to the unknown price.
By applying this substitution method, you can fill the gaps with the help of the other data.
This approach then will enable you to use specific models.
However, caution! In this case, you are “inventing” data that does not necessarily stand in any relationship to the actual necessary value.
In the worst case scenario, this might have a harmful effect since the unobserved reality might have nothing in common with the invented reality.
Data substitution can be very dangerous in therefore should only be considered if a few data is missing.
If the amount of data available is too few, you should probably completely ignore this particular attribute.
Some Machine Learning algorithms don’t have any problems with missing data though. Therefore it might make sense to consider these models (for instance decision trees).
Many models offer many choices
There exist a lot of Machine Learning models, and each one has it’s pros and cons.
So, testing many models makes sense.
However, the more models you test, the more time the selection process will take.
Next to the page, the page also holds calculated crystals =
********
# 1
This record from Alexandria describes crystalline KTl3Ga at its relaxed geometry. The functional is PBE-GGA.

Cell and atoms, written as POSCAR:
```
KTl3Ga
1.0
-2.740 -4.155 0.225
3.892 -2.463 1.899
-1.966 1.629 6.142
Tl K Ga
3 1 1
Cartesian
-2.021 -1.537 2.148 Tl
-1.274 1.056 3.981 Tl
1.294 -0.691 2.985 Tl
-1.115 -1.908 6.345 K
-0.182 0.151 0.569 Ga
```

Results
V: 33.02 A^3/atom
Calculated formation energy: -0.023 eV per atom
D(E_F): 0.454 states/eV per atom
Energy above the most stable polymorph in this dataset: 17.7 meV/atom
Space group: P4mm (99)

# 2
This record from Alexandria describes crystalline SrLiPrGe at its relaxed geometry. The functional is PBE-GGA.

Cell and atoms, written as POSCAR:
```
SrLiPrGe
1.0
-0.060 -5.111 1.648
1.535 -3.916 -3.339
4.620 -2.600 0.855
Sr Ge Pr Li
1 1 1 1
Cartesian
0.000 0.000 0.000 Sr
4.571 -8.720 -0.627 Ge
3.047 -5.813 -0.418 Pr
1.524 -2.907 -0.209 Li
```

Results
V: 27.38 A^3/atom
Calculated formation energy: -0.318 eV per atom
D(E_F): 0.613 states/eV per atom
Space group: F-43m (216)

# 3
This record from Alexandria describes crystalline RbCoAg3 at its relaxed geometry. The functional is PBE-GGA.

Cell and atoms, written as POSCAR:
```
RbCoAg3
1.0
-1.382 -5.194 2.016
5.467 -1.665 -0.542
1.076 1.790 5.348
Ag Co Rb
3 1 1
Cartesian
0.538 0.895 2.674 Ag
-0.691 -2.597 1.008 Ag
2.734 -0.833 -0.271 Ag
2.580 -2.535 3.411 Co
0.000 0.000 0.000 Rb
```

Results
V: 37.84 A^3/atom
Calculated formation energy: 1.854 eV per atom
D(E_F): 1.127 states/eV per atom
Energy above the most stable polymorph in this dataset: 1269.9 meV/atom
Space group: Pm-3m (221)

# 4
This record from Alexandria describes crystalline Nb2Ga3Ni4 at its relaxed geometry. The functional is PBE-GGA.

Cell and atoms, written as POSCAR:
```
Nb2Ga3Ni4
1.0
-1.432 -3.841 -2.980
6.290 -2.955 0.787
-1.629 -1.571 7.117
Ga Ni Nb
6 8 4
Cartesian
3.154 -4.971 2.737 Ga
-0.641 -5.317 0.698 Ga
0.075 -3.396 2.187 Ga
3.870 -3.050 4.227 Ga
2.429 -3.398 -1.096 Ga
0.000 0.000 0.000 Ga
1.676 -4.627 0.850 Ni
1.553 -3.740 4.075 Ni
0.887 -2.187 0.238 Ni
-2.198 -4.234 2.205 Ni
5.426 -4.133 2.720 Ni
2.342 -6.180 4.687 Ni
3.058 -4.260 6.177 Ni
0.171 -4.107 -1.252 Ni
4.511 -5.223 0.256 Nb
-1.282 -3.144 4.669 Nb
-0.115 -5.950 3.415 Nb
3.343 -2.418 1.510 Nb
```

Results
V: 13.83 A^3/atom
Calculated formation energy: -0.298 eV per atom
D(E_F): 0.819 states/eV per atom
Space group: Cmce (64)
********
The question is: How many should you use?
As a rule of thumb, you should consider at least several models since the additional effort will be acceptable.
On the one hand, the probability of finding the best model increases and on the other hand you will have several results which you can compare.
Sometimes it turns out that another less appealing model beats the model you expected to perform the best.
If the data is incompatible with the algorithm or it is already in advance clear that the data structure does not fit the AI algorithm you should discard this model.
In the case, you want to apply a clustering method you have to make sure that very experienced experts support you.
Make sure the criteria for selecting a model match those of your business values.
The following compact checklist summarizes the essential aspects of this article:
- Does the chosen prediction model serve your business goal?
- Which model is best suited for your target variable?
- Do you consider the model that best fits your data?
- Did you consider and discuss the risks of applying a clustering method?
- Do you understand what your chosen model does?
- Does your model meet the requirements concerning the response times?
- Did you delete any attributes with a too low number of data points?
- Do you consider more than one model?
- Do you compare the performance of different models?
- If possible, try to avoid any clustering
The phase of finding the right model is a rather technical aspect of a Machine Learning project.
It is in contrast to the data preparation process (as described in the second part of the blog series) a rather systematic process.
The person doing the job does not need to have outstanding skills but needs basic knowledge about applying machine learning frameworks and how to use their algorithms libraries.
The next part of the blog series will be about how to apply a correct and systematic evaluation of a machine learning project.